Assignment:
The reader should copy the lines underneath up to the one that holds "3.1281 -0.4790", that line included.
Data:
+++
Record 1
# C30H31FIrNOS2Te

A structure of composition C30H31FIrNOS2Te at a distorted geometry (ωB97M-V with the def2-TZVPD basis set, the OMol25 dataset).

As for the total charge: -1. The electronic energy comes out at -69668.823 eV. The HOMO energy (spin up / spin down) is -4.189 / -4.192 eV. The LUMO energy (spin up / spin down) comes out at 0.08489 / 0.05312 Eh. Its frontier orbital gap (spin up / spin down) is 6.50 / 5.64 eV. As for the spin multiplicity: 2.

CARTESIAN COORDINATES (ANGSTROEM)
C 0.1631 -0.5464 -1.7542
H 4.0087 1.3446 0.1523
H 3.1228 5.9065 -0.7788
C -4.0550 5.4127 -2.0282
H 3.9266 -0.9849 0.3990
C 2.3637 2.6674 -0.1524
H -1.2609 3.6624 -4.0009
C -3.2455 6.1532 -2.8749
H 1.3049 -4.4369 -0.6207
H 4.8953 -3.2635 2.3055
H 4.0621 3.8908 0.2717
C -2.8063 3.4122 -2.5367
H 1.2494 -0.9884 1.9215
C 0.5981 3.7311 -1.3432
H -4.4573 3.4913 -1.1870
C 1.8874 -0.1077 1.9571
C -4.0366 -3.8956 1.8707
C -3.8323 4.0595 -1.8602
C 1.3022 4.9212 -1.3609
C 2.9594 -0.7684 -0.0803
H -4.7204 -1.8737 2.0186
S -0.2845 -1.8737 -0.7094
H -3.2232 -5.8288 1.4441
C 3.0844 3.8550 -0.1956
C -4.1310 -2.5779 1.4491
C -3.2962 -4.7972 1.1249
C 2.5584 4.9854 -0.7854
H -3.5274 -1.1290 -0.0025
H 3.8133 -2.7495 4.4690
C -2.0396 4.1522 -3.4320
H 3.1281 -0.4790 -1.1170
C -2.6426 -4.3865 -0.0203
H -1.5596 -3.3160 -2.2523
H -2.0832 -5.1080 -0.6020
S 1.1903 -0.8437 -3.0329
C 3.0203 1.5303 0.5940
C -3.4689 -2.1609 0.3124
H 2.7765 -0.3418 2.5626
C 3.0647 -3.7477 1.3284
F -0.7695 1.8684 1.2792
O -0.8514 -1.1081 0.4462
C 3.2160 -3.0643 3.6251
Te -2.3754 1.3650 -2.1235
H -1.6170 6.0721 -4.2676
C 1.8367 -3.2131 3.7574
H -0.3810 3.7168 -1.7948
Ir -0.0824 0.9423 -0.2940
H 3.5380 -3.9776 0.3842
C 1.6507 -3.8796 1.4250
H -3.3896 7.2212 -2.9744
H 0.8553 5.7978 -1.8094
C 3.8199 -3.3525 2.4040
H 0.0005 -3.7424 2.8048
H 3.1880 1.8578 1.6274
H -2.3414 -1.7078 -2.0704
H 1.3293 0.6985 2.4279
C -2.2462 5.5100 -3.5886
C -1.8977 -2.5552 -1.5555
H -4.5444 -4.2196 2.7675
H 1.3684 -3.0074 4.7109
C 1.0953 2.5738 -0.7414
H -4.8577 5.8988 -1.4890
C 1.0684 -3.6159 2.6956
H 2.3604 -1.6763 -0.0611
C -2.7068 -3.0547 -0.4403
H -0.1900 -4.3713 0.4535
C 0.8685 -4.2379 0.3429
N 2.2460 0.2905 0.6054

Cartesian forces, eV/Å:
2.7 1.8 0.0
-0.1 0.0 0.1
0.0 0.1 0.0
-0.1 0.3 0.0
-0.1 0.1 0.1
0.1 -0.1 -0.1
0.1 0.0 0.0
0.0 0.0 0.0
0.1 0.0 -0.2
0.0 0.0 0.0
0.1 0.0 0.0
0.2 -0.2 0.3
0.0 0.0 0.0
-0.1 0.0 -0.1
0.0 0.0 0.1
0.0 -0.1 0.4
0.0 0.1 0.0
-0.1 -0.2 0.1
-0.1 -0.1 -0.1
-0.1 -0.1 -0.3
0.0 0.1 0.0
-1.5 -0.7 -1.3
0.0 0.0 0.0
-0.1 0.0 0.0
-0.1 -0.1 0.2
0.0 -0.2 0.1
0.2 0.2 0.0
0.0 0.1 0.0
0.0 0.0 0.0
0.1 -0.3 -0.1
0.0 0.0 0.0
0.0 0.2 -0.3
0.0 0.0 -0.1
0.1 0.0 -0.1
-1.3 -0.1 0.4
0.0 0.5 -0.1
0.1 0.1 -0.3
0.0 0.0 0.0
-0.3 -0.2 -0.1
0.2 0.9 1.3
-0.4 0.3 1.1
0.0 -0.1 0.0
0.9 -0.2 0.9
0.0 0.0 0.0
0.1 0.1 0.3
0.0 -0.1 0.1
0.5 -1.3 -3.6
0.1 0.0 -0.1
0.5 0.1 0.8
0.0 0.0 0.0
0.0 0.1 -0.1
0.2 0.0 0.1
-0.1 0.1 0.0
0.0 -0.1 -0.1
0.0 0.1 -0.1
-0.1 0.0 0.0
0.0 0.3 -0.1
1.3 0.4 0.0
0.0 0.0 0.1
0.0 0.0 0.0
-1.1 -0.8 0.3
0.0 0.0 0.1
-0.1 -0.1 -0.3
0.1 0.0 -0.1
-0.5 -0.4 0.6
-0.2 -0.1 0.1
0.0 -0.6 -0.2
-1.3 0.4 0.0

Record 2
# C30H32AsFN2PdSSi

A structure of composition C30H32AsFN2PdSSi (ωB97M-V with the def2-TZVPD basis set, the OMol25 dataset).

The value obtained for the energy above the lowest of the compared OMol25 structures with the same formula, charge and spin is 0.201 eV. As for the total charge: -2. The electronic energy comes out at -120359.488 eV. The HOMO energy is -0.291 eV. The LUMO energy comes out at 0.16414 Eh. Its frontier orbital gap is 4.76 eV.

CARTESIAN COORDINATES (ANGSTROEM)
C -4.6732 1.8557 0.3174
H -8.5370 1.5670 -0.2355
H -3.4416 3.1442 5.1816
H 4.5481 1.8963 1.8674
H 3.9271 3.3043 0.9775
C -0.9457 -0.8358 -1.1241
C -0.5497 5.3283 -0.0861
C 3.9794 -3.5673 -0.1582
C 2.6917 -1.4861 0.2637
H -0.9713 -3.4497 -0.1763
H 4.8839 -4.0269 -0.5483
C -7.4657 1.6391 -0.0866
As -2.6480 1.7709 0.3351
C 2.6678 2.0953 -1.6858
C 2.9847 -4.3753 0.3779
H -2.0767 -1.3634 0.5769
H -3.5182 6.6206 -1.1006
+++
Here it is:
Record 1
# C30H31FIrNOS2Te

A structure of composition C30H31FIrNOS2Te at a distorted geometry (ωB97M-V with the def2-TZVPD basis set, the OMol25 dataset).

As for the total charge: -1. The electronic energy comes out at -69668.823 eV. The HOMO energy (spin up / spin down) is -4.189 / -4.192 eV. The LUMO energy (spin up / spin down) comes out at 0.08489 / 0.05312 Eh. Its frontier orbital gap (spin up / spin down) is 6.50 / 5.64 eV. As for the spin multiplicity: 2.

CARTESIAN COORDINATES (ANGSTROEM)
C 0.1631 -0.5464 -1.7542
H 4.0087 1.3446 0.1523
H 3.1228 5.9065 -0.7788
C -4.0550 5.4127 -2.0282
H 3.9266 -0.9849 0.3990
C 2.3637 2.6674 -0.1524
H -1.2609 3.6624 -4.0009
C -3.2455 6.1532 -2.8749
H 1.3049 -4.4369 -0.6207
H 4.8953 -3.2635 2.3055
H 4.0621 3.8908 0.2717
C -2.8063 3.4122 -2.5367
H 1.2494 -0.9884 1.9215
C 0.5981 3.7311 -1.3432
H -4.4573 3.4913 -1.1870
C 1.8874 -0.1077 1.9571
C -4.0366 -3.8956 1.8707
C -3.8323 4.0595 -1.8602
C 1.3022 4.9212 -1.3609
C 2.9594 -0.7684 -0.0803
H -4.7204 -1.8737 2.0186
S -0.2845 -1.8737 -0.7094
H -3.2232 -5.8288 1.4441
C 3.0844 3.8550 -0.1956
C -4.1310 -2.5779 1.4491
C -3.2962 -4.7972 1.1249
C 2.5584 4.9854 -0.7854
H -3.5274 -1.1290 -0.0025
H 3.8133 -2.7495 4.4690
C -2.0396 4.1522 -3.4320
H 3.1281 -0.4790 -1.1170